[Source]
The following is a PBEsol calculation of a relaxed Ca3RePt crystal, from Alexandria via LeMat-Bulk.

Unit cell a=5.187 b=5.187 c=5.187 alpha=90.00 beta=90.00 gamma=90.00
Sites, in units of the cell vectors:
Re  0.000  0.000  0.000
Ca  0.000  0.500  0.000
Ca  0.500  0.000  0.000
Ca  0.000  0.000  0.500
Pt  0.500  0.500  0.500

Results
**ΔE_f**: 0.945 eV/atom
**Distance to the lowest polymorph of the same formula**: 207 meV per atom
**Size of the total moment**: 0.0 Bohr magnetons per cell
**Raw total energy**: -4.3937 eV per atom

~~~~~

<w>
Material: Fe2ReAu
Method: DFT, GGA-PBE
State: optimized geometry

a = 5.4236 Å, b = 5.4236 Å, c = 5.4236 Å
α = 104.39°, β = 104.39°, γ = 120.19°
Element x y z (fractional)
Fe 0.0864 0.6250 0.9614
Fe 0.3750 0.3364 0.4614
Fe 0.6636 0.1250 0.0386
Fe 0.8750 0.9136 0.5386
Re 0.0000 0.0000 0.0000
Re 0.7500 0.2500 0.5000
Au 0.2500 0.7500 0.5000
Au 0.5000 0.5000 0.0000

Values from the calculation:
Density of states at the Fermi level, states/eV per cell: 1.101
Spin magnetization, μB/f.u.: 0.00

***

<x>
Material: Fe2ReAu
Method: DFT, GGA-PBE
State: optimized geometry

a = 4.5586 Å, b = 4.5586 Å, c = 4.8648 Å
α = 98.25°, β = 98.25°, γ = 34.53°
Element x y z (fractional)
Fe 0.2475 0.2475 0.2236
Fe 0.7525 0.7525 0.7764
Re 0.5000 0.5000 0.0000
Au 0.0000 0.0000 0.5000

Values from the calculation:
Density of states at the Fermi level, states/eV per cell: 4.469
Spin magnetization, μB/f.u.: 4.28

***

What are the relative energies? In meV per atom: <w> 446; <x> 0.

~~~~~

Record 1
An optimized crystal structure of Ho3InH, computed with PBE-GGA.

CIF file:
```
data_Ho3InH
_cell_length_a 4.819
_cell_length_b 4.819
_cell_length_c 4.819
_cell_angle_alpha 90.00
_cell_angle_beta 90.00
_cell_angle_gamma 90.00
_symmetry_space_group_name_H-M 'P 1'
_symmetry_Int_Tables_number 1
loop_
_symmetry_equiv_pos_as_xyz
'x,y,z'
loop_
_atom_site_label
_atom_site_type_symbol
_atom_site_fract_x
_atom_site_fract_y
_atom_site_fract_z
In1 In 0.500 0.500 0.500
Ho1 Ho 0.500 0.000 0.000
Ho2 Ho 0.000 0.500 0.000
Ho3 Ho 0.000 0.000 0.500
H1 H 0.000 0.000 0.000
```

Summary:
total magnetic moment = 1.411 μB/cell
total energy = -4.319 eV per atom
energy above the most stable polymorph in this dataset = 0.0000 eV per atom
DOS(E_F) = 4.46 states/eV/f.u.
symmetry = No. 221

---

Record 2
An optimized crystal structure of Ho5In4H, computed with PBE-GGA.

CIF file:
```
data_Ho5In4H
_cell_length_a 4.874
_cell_length_b 7.478
_cell_length_c 7.478
_cell_angle_alpha 83.90
_cell_angle_beta 70.98
_cell_angle_gamma 70.98
_symmetry_space_group_name_H-M 'P 1'
_symmetry_Int_Tables_number 1
loop_
_symmetry_equiv_pos_as_xyz
'x,y,z'
loop_
_atom_site_label
_atom_site_type_symbol
_atom_site_fract_x
_atom_site_fract_y
_atom_site_fract_z
In1 In 0.501 0.326 0.674
In2 In 0.501 0.674 0.326
In3 In 0.827 0.674 0.674
In4 In 0.175 0.326 0.326
Ho1 Ho 0.831 0.339 0.000
Ho2 Ho 0.501 0.000 0.000
Ho3 Ho 0.171 0.000 0.661
Ho4 Ho 0.831 0.000 0.339
Ho5 Ho 0.171 0.661 0.000
H1 H 0.000 0.000 0.000
```

Summary:
total magnetic moment = 0.000 μB/cell
total energy = -3.996 eV per atom
DOS(E_F) = 9.08 states/eV/f.u.
symmetry = No. 139

---

Record 3
An optimized crystal structure of HoH2Ir, computed with PBE-GGA.

CIF file:
```
data_HoH2Ir
_cell_length_a 3.942
_cell_length_b 3.942
_cell_length_c 4.439
_cell_angle_alpha 63.64
_cell_angle_beta 63.64
_cell_angle_gamma 60.00
_symmetry_space_group_name_H-M 'P 1'
_symmetry_Int_Tables_number 1
loop_
_symmetry_equiv_pos_as_xyz
'x,y,z'
loop_
_atom_site_label
_atom_site_type_symbol
_atom_site_fract_x
_atom_site_fract_y
_atom_site_fract_z
Ir1 Ir 0.000 0.000 0.000
Ho1 Ho 0.500 0.500 0.500
H1 H 0.147 0.147 0.560
H2 H 0.853 0.853 0.440
```

Summary:
total magnetic moment = 0.000 μB/cell
total energy = -5.513 eV per atom
DOS(E_F) = 0.07 states/eV/f.u.
symmetry = No. 166

---

Record 4
An optimized crystal structure of Ho4HIr2, computed with PBE-GGA.

CIF file:
```
data_Ho4HIr2
_cell_length_a 4.511
_cell_length_b 4.511
_cell_length_c 7.914

[Exercise]
Count the lines further up that contain the word "symmetry" and give the number alone.

[Result]
3